# Listing
********
Entry 1:
Theoretical powder XRD pattern
Compound: MoIrAu2
Radiation: Cu Ka
Structure: a cell relaxed with PBE
Kinematic intensities with the Lorentz-polarization factor, no thermal factor.

Largest 8 diffraction maxima, by angle, 2θ from 10° to 90°:
2θ/deg  intensity
37.75  32
38.74  100
44.74  64
64.46  19
65.81  22
78.43  24
79.06  13
83.10  11

Atomic structure:
a b c (Å): 9.673 9.673 9.673
angles (deg): 16.87 16.87 16.87
Atoms (fractional coordinates):
1 Mo 0.000 0.000 0.000
2 Ir 0.261 0.261 0.261
3 Au 0.508 0.508 0.508
4 Au 0.752 0.752 0.752

***

Entry 2:
Theoretical powder XRD pattern
Compound: Nd4Ir2Au
Radiation: Cu Ka
Structure: a cell relaxed with PBE
Kinematic intensities with the Lorentz-polarization factor, no thermal factor.

Largest 8 diffraction maxima, by angle, 2θ from 10° to 90°:
2θ/deg  intensity
31.25  100
31.62  48
37.18  31
37.29  28
37.47  19
47.33  14
51.90  15
63.34  18

Atomic structure:
a b c (Å): 7.808 7.808 8.937
angles (deg): 124.88 124.88 70.92
Atoms (fractional coordinates):
1 Nd 0.063 0.567 0.867
2 Nd 0.067 0.067 0.369
3 Nd 0.198 0.432 0.263
4 Nd 0.433 0.937 0.133
5 Nd 0.563 0.302 0.734
6 Nd 0.568 0.802 0.737
7 Nd 0.698 0.437 0.266
8 Nd 0.933 0.933 0.631
9 Ir 0.194 0.564 0.629
10 Ir 0.436 0.806 0.371
11 Ir 0.694 0.306 0.500
12 Ir 0.936 0.064 0.000
13 Au 0.316 0.185 0.875
14 Au 0.815 0.684 0.125

* * * * *

(1)
# Sm2YCo2
Simulated powder X-ray diffraction pattern, Cu Kα, 1.54184 Å. Input: a crystal structure in Alexandria, relaxed with GGA-PBE.
No peak broadening, texture or thermal motion is included.

Atomic structure:
Unit cell a=11.300 b=3.784 c=5.628 alpha=90.00 beta=104.27 gamma=90.00
Element x y z (fractional)
Sm  0.146  0.000  0.083
Sm  0.354  0.500  0.917
Sm  0.646  0.500  0.083
Sm  0.854  0.000  0.917
Y  0.000  0.500  0.500
Y  0.500  0.000  0.500
Co  0.222  0.000  0.600
Co  0.278  0.500  0.400
Co  0.722  0.500  0.600
Co  0.778  0.000  0.400

Main lines, most intense first (2θ from 10° to 80°):
d = 2.627 Å, intensity 100
d = 3.108 Å, intensity 65
d = 2.732 Å, intensity 54
d = 2.725 Å, intensity 51
d = 2.088 Å, intensity 45
d = 2.258 Å, intensity 38
d = 2.234 Å, intensity 35
d = 1.484 Å, intensity 29


(2)
# Sm2Y2Co
Simulated powder X-ray diffraction pattern, Cu Kα, 1.54184 Å. Input: a crystal structure in Alexandria, relaxed with GGA-PBE.
No peak broadening, texture or thermal motion is included.

Atomic structure:
Unit cell a=6.982 b=6.982 c=7.113 alpha=102.50 beta=102.50 gamma=114.76
Element x y z (fractional)
Sm  0.190  0.732  0.745
Sm  0.268  0.810  0.255
Sm  0.732  0.190  0.745
Sm  0.810  0.268  0.255
Y  0.245  0.245  0.603
Y  0.270  0.270  0.114
Y  0.730  0.730  0.886
Y  0.755  0.755  0.397
Co  0.383  0.617  0.500
Co  0.617  0.383  0.500

Main lines, most intense first (2θ from 10° to 80°):
d = 2.974 Å, intensity 100
d = 2.850 Å, intensity 54
d = 2.630 Å, intensity 42
d = 2.940 Å, intensity 38
d = 2.120 Å, intensity 26
d = 2.514 Å, intensity 23
d = 3.059 Å, intensity 20
d = 2.714 Å, intensity 20


(3)
# Sm2YCo9
Simulated powder X-ray diffraction pattern, Cu Kα, 1.54184 Å. Input: a crystal structure in Alexandria, relaxed with GGA-PBE.
No peak broadening, texture or thermal motion is included.

Atomic structure:
Unit cell a=8.720 b=8.720 c=8.720 alpha=33.29 beta=33.29 gamma=33.29
Element x y z (fractional)
Sm  0.140  0.140  0.140
Sm  0.860  0.860  0.860
Y  0.000  0.000  0.000
Co  0.080  0.579  0.579
Co  0.334  0.334  0.334
Co  0.421  0.421  0.920
Co  0.421  0.920  0.421
Co  0.500  0.500  0.500
Co  0.579  0.080  0.579
Co  0.579  0.579  0.080
Co  0.666  0.666  0.666
Co  0.920  0.421  0.421

Main lines, most intense first (2θ from 10° to 80°):
d = 2.135 Å, intensity 100
d = 2.498 Å, intensity 48
d = 2.734 Å, intensity 43
d = 2.513 Å, intensity 37
d = 2.155 Å, intensity 36
d = 1.249 Å, intensity 21
d = 1.982 Å, intensity 21
d = 1.992 Å, intensity 20


What did the first record say?
# Sm2YCo2
********

# What to do
Repeat the lines earlier on from the one with "37.18" to the one with "7.808 8.937" exactly.

# Reply
37.18  31
37.29  28
37.47  19
47.33  14
51.90  15
63.34  18

Atomic structure:
a b c (Å): 7.808 7.808 8.937